## Data
/*
No. 1
The following is a PBE-GGA calculation of crystalline Tb2Al7Au12 at its relaxed geometry, from the Alexandria database.

The structure in CIF format:
```
data_Tb2Al7Au12
_chemical_formula_sum 'Tb2 Al7 Au12'
_symmetry_space_group_name_H-M 'P -3'
_symmetry_Int_Tables_number 147
_cell_length_a 10.5643
_cell_length_b 10.5643
_cell_length_c 4.0985
_cell_angle_alpha 90.00
_cell_angle_beta 90.00
_cell_angle_gamma 120.00
loop_
_symmetry_equiv_pos_as_xyz
'x,y,z'
'-x,-y,-z'
'-y,x-y,z'
'y,-x+y,-z'
'-x+y,-x,z'
'x-y,x,-z'
loop_
_atom_site_label
_atom_site_fract_x
_atom_site_fract_y
_atom_site_fract_z
Tb1 0.3333 0.6667 0.2444
Al1 0.0000 0.0000 0.5000
Al2 0.1025 0.7021 0.7407
Au1 0.0842 0.4556 0.7544
Au2 0.1283 0.2620 0.2383
```

Values from the calculation:
M_tot: 0.00 μB/f.u.
N(E_F): 5.8 states/eV/cell
electronic total energy: -4.06 eV per atom
DFT formation energy: -48.2 kJ per mole of atoms
density: 12.03 g cm⁻³

No. 2
The following is a PBE-GGA calculation of crystalline Tb2Al6Au3 at its relaxed geometry, from the Alexandria database.

The structure in CIF format:
```
data_Tb2Al6Au3
_chemical_formula_sum 'Tb2 Al6 Au3'
_symmetry_space_group_name_H-M 'P -6 2 m'
_symmetry_Int_Tables_number 189
_symmetry_space_group_name_Hall 'P -6 -2'
_cell_length_a 7.8485
_cell_length_b 7.8485
_cell_length_c 4.1378
_cell_angle_alpha 90.00
_cell_angle_beta 90.00
_cell_angle_gamma 120.00
loop_
_atom_site_label
_atom_site_fract_x
_atom_site_fract_y
_atom_site_fract_z
Tb1 0.3333 0.6667 0.0000
Al1 0.0000 0.3019 0.5000
Al2 0.0000 0.8086 0.0000
Au1 0.0000 0.6251 0.5000
```

Values from the calculation:
M_tot: 0.00 μB/f.u.
N(E_F): 3.4 states/eV/cell
electronic total energy: -4.37 eV per atom
DFT formation energy: -57.5 kJ per mole of atoms
density: 8.05 g cm⁻³

No. 3
The following is a PBE-GGA calculation of crystalline Tb2Al3Au5 at its relaxed geometry, from the Alexandria database.

The structure in CIF format:
```
data_Tb2Al3Au5
_chemical_formula_sum 'Tb8 Al12 Au20'
_symmetry_space_group_name_H-M 'C m c 21'
_symmetry_Int_Tables_number 36
_cell_length_a 4.4957
_cell_length_b 24.7471
_cell_length_c 7.0872
_cell_angle_alpha 90.00
_cell_angle_beta 90.00
_cell_angle_gamma 90.00
loop_
_symmetry_equiv_pos_as_xyz
'x,y,z'
'-x,-y,z+1/2'
'-x,y,z'
'x,-y,z+1/2'
'x+1/2,y+1/2,z'
'-x+1/2,-y+1/2,z+1/2'
'-x+1/2,y+1/2,z'
'x+1/2,-y+1/2,z+1/2'
loop_
_atom_site_label
_atom_site_fract_x
_atom_site_fract_y
_atom_site_fract_z
Tb1 0.0000 0.0192 0.0000
Tb2 0.0000 0.3230 0.9990
Al1 0.0000 0.1027 0.3219
Al2 0.0000 0.2753 0.4739
Al3 0.0000 0.4465 0.1895
Au1 0.0000 0.1055 0.6946
Au2 0.0000 0.1997 0.1880
Au3 0.0000 0.2169 0.7737
Au4 0.0000 0.3812 0.4907
Au5 0.0000 0.4522 0.8078
```

Values from the calculation:
energy relative to the lowest polymorph listed for this composition: 0.20 kJ per mole of atoms
M_tot: 0.00 μB/f.u.
N(E_F): 19.8 states/eV/cell
electronic total energy: -4.35 eV per atom
DFT formation energy: -63.6 kJ per mole of atoms
density: 11.66 g cm⁻³

What is the formula in the third record?
Tb2Al3Au5

~~~~~

No. 1
An optimized crystal structure of Pr2Ga3Ag6, computed with GGA-PBE.

```
Pr2Ga3Ag6
1.0
4.420 0.000 0.000
0.000 7.844 0.000
0.000 -3.922 6.793
Ga Pr Ag
3 2 6
Cartesian
2.210 -2.398 4.153
2.210 4.796 0.000
2.210 1.524 2.639
0.000 3.922 2.264
0.000 0.000 4.528
2.210 2.814 4.873
2.210 -1.108 1.920
2.210 2.216 0.000
0.000 0.808 1.399
0.000 -3.114 5.393
0.000 6.228 0.000
```

E_tot (eV per formula unit): -38.7
ΔE_f (kJ per mole of atoms): -26.0
DOS at the Fermi energy (states/eV per cell): 4.42

No. 2
An optimized crystal structure of YEr4Au2, computed with GGA-PBE.

```
YEr4Au2
1.0
4.869 0.000 0.000
2.435 4.217 0.000
2.435 1.406 10.150
Au Er Y
2 4 1
Cartesian
4.869 2.811 1.978
4.869 2.811 8.172
2.435 1.406 7.100
2.435 1.406 1.035
7.304 4.217 9.115
7.304 4.217 3.050
4.869 2.811 5.075
```

E_tot (eV per formula unit): -33.2
ΔE_f (kJ per mole of atoms): -26.9
DOS at the Fermi energy (states/eV per cell): 8.08

No. 3
*/

## Assignment
Now write out the part of the block above that starts with the line with "_cell_length_c 4.1378" and stops after the one with "4.528".

## Solution
_cell_length_c 4.1378
_cell_angle_alpha 90.00
_cell_angle_beta 90.00
_cell_angle_gamma 120.00
loop_
_atom_site_label
_atom_site_fract_x
_atom_site_fract_y
_atom_site_fract_z
Tb1 0.3333 0.6667 0.0000
Al1 0.0000 0.3019 0.5000
Al2 0.0000 0.8086 0.0000
Au1 0.0000 0.6251 0.5000
```

Values from the calculation:
M_tot: 0.00 μB/f.u.
N(E_F): 3.4 states/eV/cell
electronic total energy: -4.37 eV per atom
DFT formation energy: -57.5 kJ per mole of atoms
density: 8.05 g cm⁻³

No. 3
The following is a PBE-GGA calculation of crystalline Tb2Al3Au5 at its relaxed geometry, from the Alexandria database.

The structure in CIF format:
```
data_Tb2Al3Au5
_chemical_formula_sum 'Tb8 Al12 Au20'
_symmetry_space_group_name_H-M 'C m c 21'
_symmetry_Int_Tables_number 36
_cell_length_a 4.4957
_cell_length_b 24.7471
_cell_length_c 7.0872
_cell_angle_alpha 90.00
_cell_angle_beta 90.00
_cell_angle_gamma 90.00
loop_
_symmetry_equiv_pos_as_xyz
'x,y,z'
'-x,-y,z+1/2'
'-x,y,z'
'x,-y,z+1/2'
'x+1/2,y+1/2,z'
'-x+1/2,-y+1/2,z+1/2'
'-x+1/2,y+1/2,z'
'x+1/2,-y+1/2,z+1/2'
loop_
_atom_site_label
_atom_site_fract_x
_atom_site_fract_y
_atom_site_fract_z
Tb1 0.0000 0.0192 0.0000
Tb2 0.0000 0.3230 0.9990
Al1 0.0000 0.1027 0.3219
Al2 0.0000 0.2753 0.4739
Al3 0.0000 0.4465 0.1895
Au1 0.0000 0.1055 0.6946
Au2 0.0000 0.1997 0.1880
Au3 0.0000 0.2169 0.7737
Au4 0.0000 0.3812 0.4907
Au5 0.0000 0.4522 0.8078
```

Values from the calculation:
energy relative to the lowest polymorph listed for this composition: 0.20 kJ per mole of atoms
M_tot: 0.00 μB/f.u.
N(E_F): 19.8 states/eV/cell
electronic total energy: -4.35 eV per atom
DFT formation energy: -63.6 kJ per mole of atoms
density: 11.66 g cm⁻³

What is the formula in the third record?
Tb2Al3Au5

~~~~~

No. 1
An optimized crystal structure of Pr2Ga3Ag6, computed with GGA-PBE.

```
Pr2Ga3Ag6
1.0
4.420 0.000 0.000
0.000 7.844 0.000
0.000 -3.922 6.793
Ga Pr Ag
3 2 6
Cartesian
2.210 -2.398 4.153
2.210 4.796 0.000
2.210 1.524 2.639
0.000 3.922 2.264
0.000 0.000 4.528